Global essay competition
05 December 2020
In 2020, we witnessed the outbreak of the COVID-19 pandemic causing devastating impacts in virtually every facet of people’s lives. To many, the pandemic feels like a force out of their control. Yet, a closer look reveals it is a directly result of our action as a global community. To mark the 2020 World Soil Day on 5 December, the UNCCD Capacity Development and Innovations Office (CDIO) invited people around the world to participate in an essay competition exploring the concept of 'one health' through examining the relationship between our treatment of the planet's land and the increased likelihood of these types pandemics.
Participation in the essay competition was open to everyone and was free. All entries were original unpublished between 500 and 1500 words, submitted in English, French, Russian or Spanish. We have received a total of 179 essays from 69 countries. The top ten winners received prizes between 300 and 100 euros. You can find their stories here:
- Divya
Divya is from Chennai, a bustling metropolis in the south of India She is in the tenth grade at SBOA and Junior College. Like many teens today, she is inspired b Greta Thurnberg to look at little closer at the places we call home to try living in harmony with nature. At the global level, there might be a lot to be done but Divya believes that a lot more can be done locally. In her essay she argues that if we are to survive, our attitude toward land needs to change. We must move from trampling on everything in our path to recognizing the fragility of the gifts granted to us by nature and learning to “live and let live.” Not to conquer, but to seek balance and respect all live on Earth, no matter how small, for each life has value and a purpose within its ecosystem. Read Divya`s essay.
- Latifah
Latifah is from Guayana, she is 18 years old and is in secondary school. Her essay is titled “The plan B.” Analyzing the event of the past two years, she concludes that COVID-19 crisis has offered us a unique opportunity to make the structural changes needed to transition toward a fairer and ecologically sustainable economy. Read Latifa`s essay.
### Quantum chemistry results, as found in the file
<a>
A molecular structure, C7H10O2, computed with wB97M-V/def2-TZVPD.

Positions of all 19 atoms, in Å:
O 1.71 -2.10 -0.91
O 2.76 0.24 0.15
C 0.05 2.41 -0.24
C 1.60 0.40 -0.06
C -0.60 -1.30 -0.87
C -1.57 -0.08 1.17
C 0.39 0.96 -0.12
C -0.56 -0.13 0.06
C 0.64 -1.67 -0.16
H -0.42 2.65 -1.19
H -1.51 -1.00 1.76
H -2.59 -0.03 0.76
H -1.46 -1.96 -0.74
H -0.65 2.70 0.55
H 2.56 -1.66 -0.76
H 0.94 3.03 -0.13
H -0.43 -1.05 -1.91
H -1.41 0.76 1.85
H 0.54 -2.18 0.79

Results
gap between HOMO and LUMO (spin up / spin down) = 8.381 / 8.380 eV

=====

<b>
2 unconnected molecules or ions with the total composition C7H10O2, computed with wB97M-V/def2-TZVPD.

Positions of all 19 atoms, in Å:
O -2.53 0.70 -0.51
O -0.53 2.20 0.64
C -0.79 -0.88 1.54
C -1.34 -0.24 -0.84
C 0.99 -0.90 -0.33
C 0.29 1.16 0.54
C 1.88 1.35 0.09
C -0.25 -0.27 0.27
C 2.30 0.09 -0.40
H 3.13 -0.33 -1.01
H 1.40 -1.72 0.23
H -0.66 0.14 -1.66
H 2.56 2.34 0.20
H -1.76 -1.20 -0.68
H -2.44 1.92 -1.76
H -1.56 -1.76 0.95
H -1.57 -0.09 1.89
H -0.06 -1.30 2.32
H 0.92 -1.21 -1.49

Results
gap between HOMO and LUMO = 7.786 eV

=====

Which one sits at the top of the stability order? <a> does.

=====

<a>
A gas-phase ion, C6H11N (charge -1), computed with wB97M-V/def2-TZVPD.

Positions of all 18 atoms, in Å:
N -0.10 -1.29 -1.27
C -0.14 0.00 -0.61
C -1.05 -1.88 -2.38
C 1.30 1.29 2.54
C 0.95 1.34 1.12
C -1.33 0.72 -0.42
C 0.99 0.23 0.40
H -1.21 -1.13 -3.20
H 1.81 -0.35 0.16
H 0.60 1.69 3.18
H -2.12 0.74 -1.18
H 0.61 2.34 0.78
H 0.11 -2.00 -0.64
H -0.38 -2.63 -2.84
H -2.00 -2.39 -1.95
H -1.69 1.30 0.57
H 2.28 1.74 2.75
H 1.36 0.30 2.99

Results
net charge = -1
gap between HOMO and LUMO (spin up / spin down) = 3.979 / 5.915 eV
spin multiplicity = 2

=====

<b>
A gas-phase ion, C6H11N (charge -1), computed with wB97M-V/def2-TZVPD.

Positions of all 18 atoms, in Å:
N 1.15 0.15 -0.75
C 2.04 -0.16 -1.79
C -0.50 -1.19 -1.76
C -1.48 0.91 2.73
C -0.88 -0.07 0.56
C -0.48 0.57 1.66
C -0.10 -0.34 -0.68
H -1.61 1.86 3.11
H 1.34 0.80 -0.02
H 1.98 -1.26 -1.85
H 0.03 -1.27 -2.74
H -1.21 0.42 3.67
H -1.55 -1.23 -1.91
H 0.61 0.58 1.85
H -2.46 0.59 2.38
H -1.75 -0.64 0.69
H 3.03 0.26 -1.46
H 1.98 0.45 -2.79

Results
net charge = -1
gap between HOMO and LUMO (spin up / spin down) = 3.697 / 6.375 eV
spin multiplicity = 2

=====

Which one sits at the top of the stability order? <b> does.

=====

<a>
3 unconnected molecules or ions with the total composition C2H11NO2, computed with wB97M-V/def2-TZVPD.

Positions of all 16 atoms, in Å:
O 0.94 -0.78 2.77
O 2.41 -0.82 0.17
N -1.00 -0.53 0.28
C -0.99 1.49 -1.06
C -0.93 -0.04 -1.11
H -1.72 -0.44 -1.74
H -0.23 1.93 -0.40
H -0.44 -1.34 0.51
H -0.85 1.86 -2.08
H -1.95 -0.77 0.54
H 0.43 -0.34 2.11
H 1.56 -0.37 0.14
H 3.04 -0.17 -0.16
H 1.66 -1.24 2.30
H 0.02 -0.33 -1.55
H -1.94 1.89 -0.71

Results
gap between HOMO and LUMO = 10.556 eV
SMILES string = CCN.O.O

=====

<b>
3 unconnected molecules or ions with the total composition C2H11NO2, computed with wB97M-V/def2-TZVPD.
- Илья
Илье 26 лет, он живет в Уральском регионе России и работает в сфере управленческого консалтинга, где ведет проекты в различных отраслях, таких как нефтегазовая промышленность, розничная торговля и информационные технологии. Он также занимается на общественных началах проектами по охране окружающей среды. В своем эссе Илья рассказывает о взаимосвязи между землей и пандемией коронавируса, и убедительно доказывает, что если мы изменим свое отношение к земле, то сможем предотвратить возникновение глобальных эпидемий в будущем. Читайте эссе Ильи.
- Wildredo
Wilfredo is a forest engineer and an experienced land practitioner from Chile, working fr the National Forest Corporation, which serves as a national focal point for UNCCD. His essay “The social function of forests: Toward Land Degradation Neutrality, the provision of human health and overcoming the COVID-19 pandemic in Chile” describes the damage to human health caused by the nature deficit. It also highlights the important role of forests in overcoming the pandemic as forest aerosols could have an antiviral pharmacological effect and is also beneficial for cardiovascular and mental health. Wilfredo describes the progress the Chile made to incorporate the social functions of the forests in its efforts to improve human well-being and combat the pandemic. Read Wilfredo`s essay.
- Елизавета
Елизавете 12 лет, она живет в Бресте, Беларусь, и несмотря на свой юный возраст очень ответственно относится к экологии и пандемии коронавируса. Она считает, что это очень серьезная тема, всегда следит за своим экологическим отпечатком и носит защитную маску в общественных местах. В своем эссе она говорит, что пандемия разделила нашу жизнь на «до» и «после» но верит, что с помощью современной медицины и высокого уровня сознания человечество сможет победить эту болезнь. Читайте эссе Елизаветы.
- Миримгуль
16-тилетняя Миримгуль из Кыргызстана получила специальный приз нашего конкурса. Она учится в школе и работает над проектом по очистке прудов в родном городе. Ее сочинение описывает работу ее брата и делится его взглядом на происходящее как медика, который помогал в «красной зоне» на пике пандемии короновируса. Эссе Миримгуль напоминает нам, о жертвах, принесенных работниками здравоохранения в борьбе с глобальной эпидемией. Читайте эссе Миримгуль.
- Alejandro
28-year-old Alejandro is originally from Columbia and now lives in Germany and studies at the University of Cologne. Building on his experience working with policymakers in the areas of economic growth and sustainability, he advocates in his essay that a new “one health governance” approach should be adopted to tackle the COVID-19 pandemic and recognize that the health of opeople is connected to the health of the enviroment. The essay, which received a special prize. argues that it is up to us to learn the lessons of the pandemic and recognize that our well-being is tied to the land. Read Alejandro's essay.
- Opeyemi
43-year-old Opeyemi from Nigeria has worked in town planning, architecture and biometrical engineering. In his essay he emphasizes the priority we must place on environmental protection and animal health to prevent future diseases. Read Opeyemi's essay.
- Zachary
22-year-old Zachary was born in the U.S., grew up in Thailand and studied in Spain. From an early age, he was concerned with environmental issues and led a number of ambitious projects to project the environment. His essay, which received a special prize, underscores the connections between humans, animals and the Earth – a reality we need to embrace if we want to prevent future pandemics. Read Zachary's essay.
- Vrishni
17-year-old Vrishni is from Trinidad and Tobago. She is currently in high school, studying biology, chemistry, environmental sciences and entrepreneurship, and aspires to become a surgeon. In her essay, he argues that by shifting to a paradigm of sustainability, we can use land resources to our advantage as we fight through the pandemic. It is our duty to act now as a global community, because tomorrow might be too late. Read Vrishni's essay.
Visit the photo gallery of the activities in which our winners participate to protect the environment.